Don Slimmen, owner of the 16-lane Spartan West Bowling Center in Ludington, told a legislative panel Wednesday morning that he will be out of business in 30 days if he’s not allowed to reopen within that time.
The business, which includes a restaurant and bar, is down from 12 employees to one, and two loans from the federal government are nearly exhausted.
“I’ve got about 30 days left and my doors will be locked and I’ll be gone. I’ve operated this bowling center for 37 years, trying to be a good business (owner), trying to take care of people, put smiles on people’s faces, and I didn’t go out of business because I’m a crummy business owner,” Slimmen said. “I’m scared. I’ve never been scared in my life. I’ve worked in prison systems. I’ve done all sorts of things and never been scared. I was born and raised in Detroit and I was never scared in Detroit. And now, I am scared. I am scared to death that I’m going to lose everything that I have worked for my whole entire life.”
The Joint Select Committee on the COVID-19 Pandemic took nearly three hours of testimony from owners of small businesses — including ice arenas, gyms, a go-kart and entertainment center, a wedding venue, and a dance studio — on the impact the Governor’s Executive Order business shutdowns have had on their operations and their plans for safely reopening.
Select Committee Chair Rep. Matt Hall (R-Emmett Twp.) said the committee is working hard so that small-business owners’ voices can be heard with the hopes of getting the Governor’s attention.
Gov. Gretchen Whitmer said Tuesday she’s looking “in earnest” at when still-shuttered businesses will be allowed to open, but she’s made no decisions about that, yet.
+++
C4H13N2 | ωB97M-V/def2-TZVPD

Last column: natural (NBO) charge in e.
Positions of all 19 atoms, in Å:
C: -0.971 1.083 1.357  -0.6396
C: -0.579 0.905 -0.105  -0.0359
C: 0.949 0.705 -0.375  -0.4357
C: 1.506 -0.610 0.150  -0.2263
N: 0.757 -1.711 -0.570  -0.7991
N: -1.362 -0.255 -0.671  -0.7793
H: -0.582 0.289 1.988  0.2167
H: -2.061 1.198 1.354  0.2241
H: -0.690 2.045 1.765  0.2498
H: -0.855 1.820 -0.631  0.2130
H: 1.013 0.865 -1.447  0.2265
H: 1.432 1.488 0.194  0.2506
H: 1.479 -0.832 1.204  0.2282
H: 2.505 -0.765 -0.229  0.2279
H: 0.585 -2.490 0.029  0.4030
H: 1.134 -2.139 -1.402  0.4141
H: -1.523 -0.086 -1.653  0.4067
H: -2.261 -0.337 -0.251  0.4179
H: -0.474 -1.173 -0.705  0.4374

## Properties
**F_max**: 2.962 eV Å⁻¹
**E**: -7332.677 eV
**Total charge**: +1
**HOMO-LUMO gap**: 11.8 eV
**Relative energy (zero: lowest compared OMol25 entry of this formula, charge and spin)**: 78.1 kJ/mol
**HOMO energy**: -14.678 eV

=====

C4H13N2 | ωB97M-V/def2-TZVPD

Last column: natural (NBO) charge in e.
Positions of all 19 atoms, in Å:
C: 1.042 -0.412 0.978  -0.2485
C: 0.964 0.699 -0.027  -0.4562
C: -0.412 1.224 -0.690  -0.4315
C: -1.183 -0.079 -1.222  -0.2507
N: -0.256 -1.245 -1.471  -0.8850
N: 0.029 -0.140 2.016  -0.6904
H: 0.898 -1.424 0.585  0.2391
H: 2.073 -0.260 1.325  0.2484
H: 1.618 0.329 -0.846  0.2690
H: 1.328 1.670 0.292  0.2278
H: -1.179 1.758 -0.043  0.2067
H: -0.072 1.913 -1.586  0.2489
H: -1.574 0.176 -2.252  0.2328
H: -2.011 -0.193 -0.499  0.1727
H: -0.312 -1.595 -2.397  0.3908
H: -0.246 -2.079 -0.812  0.3585
H: -0.895 -0.550 1.533  0.4644
H: -0.065 0.869 2.246  0.4547
H: 0.251 -0.662 2.869  0.4487

## Properties
**F_max**: 3.169 eV Å⁻¹
**E**: -7330.956 eV
**Total charge**: +1
**SMILES**: NCCCC[NH3+]
**HOMO-LUMO gap**: 9.1 eV
**Relative energy (zero: lowest compared OMol25 entry of this formula, charge and spin)**: 244.2 kJ/mol
**HOMO energy**: -12.963 eV

=====

C4H13N2 | ωB97M-V/def2-TZVPD

Last column: natural (NBO) charge in e.
Positions of all 19 atoms, in Å:
C: -1.265 -0.944 -0.135  -0.2480
N: -1.215 -0.630 -1.659  -0.8898
C: -0.381 0.024 0.717  -0.0596
N: 0.624 0.435 -0.334  -0.5594
C: 1.351 1.763 -0.440  -0.4054
C: 0.296 -0.678 1.856  -0.6360
H: -2.338 -0.964 0.027  0.2451
H: -0.944 -1.980 0.071  0.2220
H: -2.188 -0.473 -1.930  0.4112
H: -0.637 -1.101 -2.352  0.4066
H: -0.684 0.989 1.078  0.2312
H: 1.301 -0.297 -0.576  0.4127
H: -0.010 0.446 -1.241  0.4664
H: 2.283 1.553 0.072  0.2277
H: 1.476 1.965 -1.492  0.2290
H: 0.742 2.582 -0.043  0.2370
H: -0.419 -1.031 2.598  0.2558
H: 0.888 -1.480 1.404  0.2089
H: 1.121 -0.180 2.378  0.2445

## Properties
**F_max**: 2.734 eV Å⁻¹
**E**: -7331.685 eV
**Total charge**: +1
**SMILES**: C[NH2+][C@H](C)CN
**HOMO-LUMO gap**: 11.5 eV
**Relative energy (zero: lowest compared OMol25 entry of this formula, charge and spin)**: 173.9 kJ/mol
**HOMO energy**: -14.457 eV

=====

C4H13N2 | ωB97M-V/def2-TZVPD

Last column: natural (NBO) charge in e.
Positions of all 19 atoms, in Å:
+++
These businesses, classified at one time as “non-essential,” have been more vocal about reopening since the Governor’s decision to allow the Detroit casinos to reopen with limited capacity..
“Gov. Whitmer’s administration needs to look at these reopening plans – which were developed months ago – and get serious about finding solutions,” Hall said in a statement released after the hearing. “We heard Michigan has relied more on federal support than other states and when that starts to run out, we will need an economy that can support that drop-off. This starts by allowing people to resume their livelihoods.”
Trying to provide some balance, Sen. Curtis Hertel Jr. (D-East Lansing) contended that economic indicators, like consumer spending and consumer confidence, show Michigan has had a better, quicker recovery than many surrounding states, certainly better than states that have had second waves of COVID spread.
Hertel said the state should not “become a place where the politics of the situation actually influences what happens on the public health side.” He contended that in the 1918 pandemic, Denver reopened too quickly and ended up taking much longer to recover economically because people lost faith in the government.
“When you say something is OK, when the state says it is OK to go out and do things, and there is a second wave and people get hurt, it means everything lags behind because people don’t have faith in what actually happens any longer. What Michigan has shown is that people do have faith. Consumer confidence is higher here than almost anywhere in the country,” Hertel said.
Chris McCrumb, owner of a destination wedding venue in Traverse City known as the BlueBridge Event Center, said his entire family – including his wife, both their sets of parents, his sons, daughter, and an aunt and uncle – jumped into the business back in 2016.
“On the financial front, we mortgaged our home, cashed in some of our retirement and borrowed money from family members. In short, we were all in,” McCrumb said.
They had just started to make it pay off last year.
“To date, we have had 43 postponements and cancellations and the number is likely to get closer to 55 in total, which will cost us somewhere in the neighborhood of $750,000 to $850,000 this year,” he said.
In northern Michigan, most businesses have to make their money between April and November, and if those months don’t go well, they know it will be a long winter just trying to survive, he said.
“I believe in my head, my gut, my heart, my soul that what is happening in this country and in this state is not right, and things need to change and they need to change soon,” McCrumb told the committee. “The attempts to stop a virus from doing what viruses do is dramatically impacting this country in every way, financially, emotionally, relationally, socially and spiritually. The price being paid, especially in areas like northern Michigan and the Upper Peninsula, where the virus is essentially a non-issue, is far too great. In my opinion, the damage being done in our effort to stop the virus is far greater than the damage being done by the virus itself.”
Jordan Munsters, President and CEO of High Caliber Karting in Okemos, proposed the creation of a regulatory agency to certify who has taken the proper steps to reopen safely, noting that would also give the state a way to enforce the rules on businesses that don’t take the right steps to open properly.
/*
No. 1
Entry from the OMol25 dataset: a structure of composition C22H15Cl4CsN2O4Se at a distorted geometry (the ωB97M-V functional and the def2-TZVPD basis).

```
! RIJCOSX wB97M-V def2-TZVPD def2/J DEFGRID3
* xyz -2 1
Cs 0.30 -0.73 0.26
Se -3.70 0.38 -2.37
Cl -2.33 3.65 1.91
Cl -4.20 3.26 4.42
Cl -4.33 0.47 5.82
Cl -2.65 -1.94 4.65
O -0.81 1.26 1.17
O -1.03 -1.23 2.31
O 1.07 -1.91 -2.00
O 2.67 -1.82 -0.45
N -2.60 -0.79 -1.68
N -4.73 -0.84 -3.16
C 4.78 -4.37 -3.27
C -3.02 -1.99 -2.02
C 0.97 -4.97 -1.42
C 2.87 -3.48 -2.10
C 2.33 -4.76 -2.02
C 4.62 -1.88 -2.91
C -2.92 -4.38 -2.07
C -1.71 -0.25 2.78
C 5.07 -6.85 -3.64
C -3.26 1.93 3.80
C -4.09 -4.41 -2.88
C -1.61 1.08 2.15
C 4.09 -3.28 -2.75
C -4.73 -3.27 -3.26
C -2.39 -3.20 -1.64
C 2.13 -2.29 -1.47
C -2.56 -0.37 3.89
C 3.04 -5.84 -2.54
C -2.42 2.10 2.69
C -3.32 0.69 4.41
C 4.28 -5.66 -3.15
C -4.21 -2.02 -2.85
H -2.45 -5.31 -1.78
H -1.49 -3.16 -1.03
H 5.47 -7.41 -2.79
H 0.76 -6.03 -1.26
H -4.48 -5.37 -3.20
H 3.95 -1.30 -3.54
H 4.45 -7.54 -4.22
H 4.67 -1.38 -1.94
H 0.21 -4.55 -2.08
H 0.87 -4.44 -0.46
H 5.62 -1.88 -3.37
H 5.73 -4.21 -3.77
H -5.62 -3.30 -3.88
H 2.62 -6.84 -2.47
H 5.91 -6.53 -4.26
*
```

Calculated values
- ΔE to the lowest compared entry with this formula, charge and spin (kJ/mol) = 12.9
- frontier orbital gap (eV) = 3.7

Mulliken atomic charge list, values in e, 4 entries:
1. Cs 1.4182
2. Se 0.2951
3. Cl -0.2778
4. Cl -0.2715

***

No. 2
Entry from the OMol25 dataset: a structure of composition C22H15CuF12N5O14S4 at a distorted geometry (the ωB97M-V functional and the def2-TZVPD basis).

```
! RIJCOSX wB97M-V def2-TZVPD def2/J DEFGRID3
* xyz 1 3
Cu -0.25 0.46 -0.61
S 0.10 -0.55 -3.63
S -0.67 2.98 1.83
S -0.81 3.50 -0.66
S -2.32 -1.08 -2.67
F -1.49 1.38 -4.56
F -2.74 2.22 -1.89
F -0.63 -3.10 -1.94
F -2.66 4.33 -2.32
F 0.09 0.66 2.69
F 0.71 1.76 -4.61
F -2.41 -3.79 -2.97
F -2.00 1.12 3.10
F -2.57 -3.19 -0.89
F -3.47 3.54 -0.41
F -0.22 0.39 -6.11
F -0.38 2.02 4.33
O -1.68 -0.66 0.67
O 3.40 1.12 0.97
O 0.61 3.59 2.16
O -0.24 -1.83 -4.33
O 2.44 -2.76 -0.90
O 1.09 -1.49 0.20
O 0.00 3.16 -1.81
O -3.20 -0.51 -1.64
O -1.33 -1.69 2.57
O -0.74 4.85 -0.12
O 1.44 -0.37 -3.15
O -1.80 3.84 2.01
O -2.78 -1.13 -4.04
O 1.97 1.06 -0.61
N 3.07 1.40 -0.15
N -0.72 2.21 0.45
N -0.77 -0.27 -2.41
N 1.92 -2.41 0.13
N -2.09 -1.22 1.72
C 3.62 2.50 -2.40
C 2.37 -3.12 3.81
C 5.10 2.83 -0.52
C -3.54 -1.33 1.98
C 5.59 3.89 -2.55
C -4.47 -0.53 1.29
C -4.00 -2.30 2.93
C -0.27 0.88 -4.88
C -0.75 1.58 3.13
C -5.82 -0.54 1.65
C -1.98 -2.93 -2.04
C 4.38 3.41 -3.04
C 2.83 -4.34 1.34
C 3.92 2.26 -1.05
C 2.92 -4.36 3.76
C 2.10 -2.50 2.64
C -5.36 -2.40 3.16
C 5.96 3.63 -1.28
C 2.36 -3.05 1.40
C -6.25 -1.53 2.51
C -2.56 3.40 -1.38
C 3.15 -4.99 2.50
H -3.29 -2.93 3.45
H 5.38 2.47 0.46
H 1.66 -1.52 2.68
H -6.48 0.17 1.18
H 4.17 3.60 -4.09
H 2.09 -2.66 4.75
H 2.86 -4.90 0.42
H 6.26 4.59 -3.03
H -7.32 -1.62 2.63
H 6.86 4.05 -0.86
H -4.04 0.18 0.61
H -5.77 -2.98 3.97
H 3.19 -4.81 4.71
H 2.64 2.35 -2.84
H 3.58 -5.97 2.61
*
```
*/
His business – which includes go-karts, arcade games, ax throwing, and other forms of entertainment – prepared to reopen three times. Twice the Governor issued new Executive Orders “that changed rules” and kept it closed.
“We spent a considerable amount of time and effort and money – over a quarter-million dollars between PPE, training, staff, and payroll – to keep things so we could take it serious and do it right,” Munsters said.
That included training staff three different times on the latest rules and procedures for safely operating the business. Other improvements included adding a guard to enforce mask-wearing, adding a dedicated sanitation team, updating to digital menus, adding contact tracing, reducing capacity, adding social distancing markers, and buying a $12,000 ultraviolet decontamination system.
The business also invested $40,000 in an outdoor activity space.
Then came Executive Order 160, shutting down both indoor and outdoor entertainment centers. But since the facility is a restaurant and bar, with entertainment, attorneys told Munsters the business should be OK to reopen.
“We opened up the business and within one day, we had a police officer show up and say, ‘I’m sorry but you guys need to close.’ We walked him through and showed him everything we were doing. We had already met with the health department, the fire marshal and the police to show them what we were doing, and they said, ‘we are excited to see you guys reopen.’ That was days before Executive Order 160 came out. I explained to the police officer that I feel like we are doing all of the steps that are necessary with this and we will proceed forward with this. Two days later, we received a cease-and-desist order and we shut our doors,” Munsters told the committee.
He said his business is one of 13 in the state to receive a cease-and-desist order so far.
He said the business has brought in about $3,000 in the last six months, but its recurring expenses are close to $50,000 per month, even as it is currently closed.
The committee also heard from indoor ice rink owners who, along with Sen. Michael MacDonald (R-Sterling Heights), believe they can reopen safely. While their facilities are built for crowds of 1,000 people, on most days they operate at well below 10% capacity. Usually, rink users consist of about 25 young hockey players practicing on the ice, with one parent in the building, the rink owners said.
Here the article breaks off for quantum chemistry results.
<<<
ORCA calculation (ωB97M-V/def2-TZVPD) on a molecular structure, C23H32Cl4GeN3O2S3Si3Tc in a non-equilibrium geometry.

Output
- 2S+1 = 2
- HOMO-LUMO gap (alpha / beta) (eV) = 6.656 / 6.500
- E_HOMO (alpha / beta) (eV) = -5.05 / -5.10
- relative energy (zero: lowest compared OMol25 entry of this formula, charge and spin) (eV) = 0.000
- total charge = -1

Geometry as XYZ:
```
72
Properties=species:S:1:pos:R:3:forces:R:3
Tc -1.567 -0.014 1.609 -0.6 -0.9 -0.1
S 0.546 -0.098 2.713 0.2 0.0 0.0
C 0.025 1.145 3.792 0.1 0.1 0.2
S -1.535 1.712 3.315 0.1 -0.2 -0.4
C 0.745 1.623 4.864 0.1 0.1 0.0
C 0.233 2.687 5.676 0.1 -0.1 0.0
N -0.177 3.544 6.331 0.1 -0.2 -0.2
C 2.032 1.080 5.191 0.0 0.0 0.0
N 3.068 0.644 5.455 -0.3 0.1 -0.1
Cl -7.855 -2.602 1.807 0.0 0.0 0.0
C -6.178 -2.303 2.105 0.1 -0.2 0.2
C -5.452 -3.131 2.969 -0.3 0.1 -0.2
Cl -6.222 -4.469 3.751 0.0 0.0 0.0
C -4.102 -2.887 3.201 0.1 0.1 0.0
Cl -3.169 -3.879 4.258 0.0 0.0 0.0
C -3.466 -1.824 2.568 0.0 0.0 0.0
O -2.191 -1.523 2.733 0.0 0.2 0.1
C -4.198 -0.991 1.697 0.1 0.0 0.0
O -3.523 0.002 1.153 -0.1 0.2 0.1
C -5.547 -1.232 1.476 0.0 0.0 0.0
Cl -6.399 -0.174 0.404 0.0 0.0 0.0
C -0.262 1.348 -3.392 0.0 0.2 0.0
Si 0.604 -0.296 -3.077 -0.1 -0.1 0.0
C -0.565 -1.638 -3.665 -0.1 -0.1 -0.1
C 2.113 -0.409 -4.193 0.2 -0.1 -0.1
Ge 1.160 -0.450 -0.748 0.0 0.0 0.0
Si 2.345 1.557 -0.157 -0.1 0.0 -0.1
C 1.260 3.018 0.303 0.0 0.2 0.1
C 3.259 2.054 -1.733 0.1 0.1 -0.1
C 3.674 1.369 1.147 0.1 -0.1 0.1
Si 2.590 -2.326 -0.360 0.0 0.0 0.1
C 1.884 -3.915 -1.057 -0.1 -0.1 -0.1
C 2.870 -2.563 1.474 0.0 0.0 0.2
C 4.243 -1.996 -1.193 0.2 0.1 -0.1
H -0.413 1.508 -4.468 0.0 0.0 0.2
H 0.301 2.199 -2.990 -0.1 -0.1 -0.1
H -1.247 1.324 -2.912 0.1 0.0 0.0
H -0.718 -1.523 -4.750 0.0 0.0 0.2
H -1.536 -1.581 -3.163 0.1 0.0 -0.1
H -0.156 -2.637 -3.477 -0.1 0.1 0.0
H 1.783 -0.315 -5.240 0.1 0.0 0.2
H 2.599 -1.390 -4.085 -0.1 0.2 0.0
H 2.862 0.363 -3.999 -0.1 -0.1 0.0
H 0.550 3.271 -0.495 0.2 0.0 0.1
H 1.911 3.888 0.467 -0.1 -0.1 0.0
H 0.698 2.830 1.227 0.1 0.1 -0.2
H 2.569 2.323 -2.541 0.1 0.0 0.1
H 3.917 1.254 -2.100 -0.1 0.2 0.1
H 3.885 2.934 -1.517 -0.1 -0.2 -0.1
H 3.275 1.468 2.158 0.0 0.0 0.0
H 4.412 2.166 0.987 -0.1 -0.1 0.1
H 4.200 0.410 1.093 -0.1 0.1 0.0
H 0.999 -4.229 -0.494 0.1 0.0 -0.1
H 2.647 -4.703 -0.980 -0.1 0.1 0.0
H 1.594 -3.817 -2.108 0.0 0.0 0.1
H 1.921 -2.600 2.024 0.2 0.0 -0.1
H 3.472 -1.757 1.910 -0.1 -0.1 0.0
H 3.397 -3.513 1.642 -0.1 0.1 0.0
H 4.141 -1.915 -2.283 0.0 0.0 0.2
H 4.937 -2.822 -0.976 -0.1 0.2 -0.1
H 4.701 -1.068 -0.826 -0.1 -0.2 -0.1
S -1.475 -2.160 -0.336 -0.2 0.2 0.4
C -0.562 -0.900 0.142 0.6 0.5 -0.1
C -3.588 3.112 -1.969 0.0 0.0 0.1
C -2.296 3.533 -1.253 -0.1 -0.1 0.1
C -1.834 2.470 -0.362 -0.5 1.3 -1.2
N -1.518 1.621 0.313 0.3 -1.2 0.9
H -3.966 3.943 -2.562 0.0 0.0 0.0
H -4.353 2.814 -1.248 0.1 0.0 -0.1
H -3.402 2.268 -2.631 0.0 0.0 0.0
H -2.445 4.430 -0.654 0.0 0.0 0.0
H -1.498 3.738 -1.965 0.1 0.0 -0.1
```
Positions in Å, forces in eV/Å.

* * * * *
>>>
MacDonald recently submitted some 4,700 letters from hockey moms, players and coaches urging the reopening of rinks.
Rink owners told the committee that when they participated in a workgroup on how they could reopen safely, they were lumped in with much larger facilities, like Little Caesars Arena in Detroit.
Rep. Jack O’Malley (R-Lake Ann) contended, in a statement released after the hearing, that small businesses can only hold their heads above water for so long, and many have gone for four or five months without being able to generate income.
“The Governor says she isn’t going to be bullied into opening these places back up. I don’t think simply wanting to make a living and put food on the table for your family is bullying anybody,” O’Malley said. “It’s simply trying to make it as we see unprecedented times in our state — and Gov. Whitmer is saying she is taking it upon herself to keep them closed and hurting. So who’s the bully?”